Chapter 175: Forbidden Technique: Chimera

Calculated crystals, kept here for reference.
<<<
(1)
The following is a r²SCAN calculation of crystalline ErCu3S3 at its relaxed geometry, from the Materials Project database.

```
data_ErCu3S3
_space_group_name_H-M_alt 'P 1'
_space_group_IT_number 1
_space_group_name_Hall 'P 1'
_cell_length_a 7.3744
_cell_length_b 7.3744
_cell_length_c 7.3744
_cell_angle_alpha 53.45
_cell_angle_beta 53.45
_cell_angle_gamma 53.45
loop_
_atom_site_label
_atom_site_type_symbol
_atom_site_fract_x
_atom_site_fract_y
_atom_site_fract_z
_atom_site_occupancy
Cu1 Cu 0.3765 0.7173 0.0369 1
Cu2 Cu 0.6235 0.2827 0.9631 1
Cu3 Cu 0.9631 0.6235 0.2827 1
Cu4 Cu 0.0369 0.3765 0.7173 1
Cu5 Cu 0.7173 0.0369 0.3765 1
Cu6 Cu 0.2827 0.9631 0.6235 1
S1 S 0.4179 0.0838 0.7491 1
S2 S 0.5821 0.9162 0.2509 1
S3 S 0.7491 0.4179 0.0838 1
S4 S 0.2509 0.5821 0.9162 1
S5 S 0.0838 0.7491 0.4179 1
S6 S 0.9162 0.2509 0.5821 1
Er1 Er 0.8335 0.8335 0.8335 1
Er2 Er 0.1665 0.1665 0.1665 1
```

Computed properties:
SG: No. 148
Calculated volume in Å³ per atom: 17.2
Energy of formation in eV/atom: -1.002
Total DFT energy (no corrections) in eV per cell: -195.16

***

(2)
The following is a r²SCAN calculation of crystalline PmH3 at its relaxed geometry, from the Materials Project database.

```
data_PmH3
_space_group_name_H-M_alt 'P 1'
_space_group_IT_number 1
_space_group_name_Hall 'P 1'
_cell_length_a 3.7901
_cell_length_b 3.7901
_cell_length_c 3.7901
_cell_angle_alpha 60.00
_cell_angle_beta 60.00
_cell_angle_gamma 60.00
loop_
_atom_site_label
_atom_site_type_symbol
_atom_site_fract_x
_atom_site_fract_y
_atom_site_fract_z
_atom_site_occupancy
Pm1 Pm 0.7500 0.7500 0.7500 1
H1 H 0.2500 0.2500 0.2500 1
H2 H 0.0000 0.0000 0.0000 1
H3 H 0.5000 0.5000 0.5000 1
```

Computed properties:
SG: No. 225
Calculated volume in Å³ per atom: 9.6
Energy of formation in eV/atom: -0.630
Total DFT energy (no corrections) in eV per cell: -42.43

***

(3)
The following is a r²SCAN calculation of crystalline DyCdHg2 at its relaxed geometry, from the Materials Project database.

```
data_DyCdHg2
_space_group_name_H-M_alt 'P 1'
_space_group_IT_number 1
_space_group_name_Hall 'P 1'
_cell_length_a 5.0455
_cell_length_b 5.0455
_cell_length_c 5.0455
_cell_angle_alpha 60.00
_cell_angle_beta 60.00
_cell_angle_gamma 60.00
loop_
_atom_site_label
_atom_site_type_symbol
_atom_site_fract_x
_atom_site_fract_y
_atom_site_fract_z
_atom_site_occupancy
Cd1 Cd 0.2500 0.2500 0.2500 1
Dy1 Dy 0.7500 0.7500 0.7500 1
Hg1 Hg 0.5000 0.5000 0.5000 1
Hg2 Hg 0.0000 0.0000 0.0000 1
```

Computed properties:
SG: No. 225
Calculated volume in Å³ per atom: 22.7
Energy of formation in eV/atom: -0.428
Total DFT energy (no corrections) in eV per cell: -152.54

***

(4)
The following is a r²SCAN calculation of crystalline CsEuBr3 at its relaxed geometry, from the Materials Project database.

```
data_CsEuBr3
_space_group_name_H-M_alt 'P 1'
_space_group_IT_number 1
_space_group_name_Hall 'P 1'
_cell_length_a 8.1682
_cell_length_b 8.3982
_cell_length_c 11.7889
_cell_angle_alpha 90.00
>>>

In the Whirlpool Country, outside a town, there's a small mountain village.

The sun shines on the dilapidated wooden house, the furnace in the yard radiates heat. A man with his upper body exposed to the air sweats under the heat, his strong physique gleaming oddly in the sunlight.

Leaning against the door is a tall girl, who is 1.74 meters tall, currently showing a shy smile as she looks at the man in the yard. She has green eyes and auburn curly hair that covers her right eye, and pink lips.

Her beauty is evident, and in this seemingly cozy scene, after exchanging glances, both smile. But both are harboring hidden intentions.

"Ming, it's hot here, stay back."

"I've cooked some hot porridge, take a break."

It's a warm scene, as if both are affectionate toward each other. But the moment they turn around, Terumi Mei shows a dangerous smile.

Kobe Yoru! Haha, Uchiha Yoru, you didn't expect to fall into my hands. I won't let you go for almost stabbing me to death last time.

Clearly, Terumi Mei thinks that Yoru didn't recognize her when she wore a mask last time. She doesn't know that he had already identified her pretending to be naive.

As Uchiha Yoru bends down to pour the refined iron into a container, he also reveals a slight smile, thinking that he has become the prey while considering himself the fisherman.

The mantis catches the cicada, but the oriole is behind.

For the past two weeks, Kobe Yoru pretended to be unfamiliar with the area and used Terumi Mei's knowledge to secretly buy some ore from various villages.

To 'Ming', townspeople also sell refined iron, but it's a bit expensive, so it's better to collect it from different villages and resell it in town.

So for half a month, both thought they were hiding their true identities well.

The door wide open, in front of a simple square table, Terumi Mei awkwardly tucks her hair behind her ears, revealing the uneasy expression of an ordinary woman.

"I'm clumsy, so the meal is simple."

Now, Terumi Mei is posing as an attacked merchant whose entire family died in battle, leaving her alone. That's her current identity.

And to Terumi Mei, Kobe Yoru, or Uchiha Yoru, is posing as a spy here to buy refined iron, secretly collecting information.

The two seem to turn into ordinary people, and only the sound of them chewing slowly can be heard at the table. After finishing the meal, Terumi Mei shows a gentle smile.

"Yoru, I'll wash the dishes."

"Wait a moment."

In half a month's time, both sides have become almost familiar with each other, but only under their disguised identities.

Suddenly, Uchiha Yoru hesitated and said, "Wait a moment." Terumi Mei showed a hint of curiosity without changing her expression, but she was already on guard in her heart. She wondered if she had given herself away.

Uchiha Yoru's face revealed a touch of hesitation, and he finally said, almost unable to look her in the eye, "It's a bit unsafe here recently. You might want to leave."

This sudden statement seemed abrupt, and Terumi Mei was taken aback. However, upon seeing his anxious and worried eyes, her heart skipped a beat.

Could it be? Could it be this kid? Although they were the same age, Terumi Mei felt more mature both mentally and physically. Her eyes widened, and then she pinched herself secretly, pretending to blush.

"Yoru, where am I supposed to go alone?"

The awkward atmosphere turned a bit chilly. After a long pause, Terumi Mei began to clean up the tableware. With her head lowered, her ears were flushed.

A smirk of triumph appeared in her heart. Last time you almost stabbed me twice, this time you might be in for a surprise. I can't wait to see your expression when you find out the truth.

Just as Terumi Mei reached out to clear Uchiha Yoru's bowl and chopsticks, his hand suddenly shot out and grabbed her wrist, pulling back as if shocked.

Taking advantage of me! Terumi Mei lowered her head and showed a hint of anger, but what happened next left her somewhat at a loss.

"Ming, there are some things I can't tell you because it would put you in danger. It's not very safe here; in a few days, I'll arrange for you to leave."

His tone was full of difficulty, and the latter part left no room for refusal. He had made the decision for her.

Uchiha Yoru pretended to be in a dilemma, giving off a vibe of "there are things I can't tell you, but it's for your own good."

"Where are you going to send me?"

Terumi Mei, with her head lowered, feigned a depressed demeanor while clearing the tableware and asked.

"Land of Fire. You'll be safer there."

Land of Fire!

Upon hearing this place, Terumi Mei felt a bit confused. Looking at him, who was silent and seemed to be hiding something, she felt even more unsettled.

Good guy! You're an elite ninja, you're not serious, are you?

As ninjas carry out covert missions, it's inevitable that they will interact with locals. They use their disguises to communicate with the locals and gather information. Likewise, ninjas always keep in mind that all of this is fake.

As it turns out now, it seems like the other party is taking it seriously! And they don't want to let her get stuck in a confusing situation.


Uchiha Yoru lifted his head, showing a solemn expression. At this moment, he seemed to have figured something out, and his determined expression made Terumi Mei somewhat confused.

"If you want to go home, I'll hire someone to escort you back. If you're willing to return to the Fire Country and wait for me, I'll tell you everything when the time comes."

Good guy, looking at Uchiha Yoru's disguised face, his handsome appearance is still undeniable. And at this moment, she suddenly realized that although he is a very powerful ninja, he is also a young man who is about the same age as her.

He joined the Third War right after graduation, then went to the front lines after the Nine-Tails chaos ended. Then under the Orochimaru incident, he became a genius ninja in charge of one side at a very young age.

But actually thinking about it, Uchiha Yoru, who is about her age, has almost always lived in wars and has never enjoyed the warmth of home.

Terumi Mei has all his information in her mind, and she is also secretly shocked. It can't be that her disguised decency and gentleness have moved him, can it?

It seems not impossible, after all, ninjas are human too. Many cold-blooded and ruthless ninjas have changed upon meeting some people. They might just be ordinary villagers on a mission, yet it's so unreasonable.

The distorted ninja world makes ninjas powerful but also gives them an extremely sensitive heart. The stronger they are, the lonelier their hearts. If anyone touches their soft spots, then something extremely abnormal will happen.

"Uh, haha, Ming, I just wanted to ask you, don't mind."

It seems that after not getting a reply for a long time, Uchiha Yoru directly scratched his head and showed a casual smile. The wave of his hand that dismissed everything as trivial was tinged with the concealed loss in his eyes. Moreover, a beautifully prepared gift box that was in his pocket was quietly put back.

"I'll wait for you."

Terumi Mei lowered her head and left these words before turning around with her bowl and chopsticks to wash up. Meanwhile, Uchiha Yoru showed an excited expression.

"Ming, after you've cleaned up, I'll take you to the city today."

Light laughter echoed, but as soon as the two turned their backs, the corners of their mouths curled up, revealing a confident smile.

Today is rare; he has closed up the furnace. The two slowly head towards the town in a horse-drawn carriage.


Following behind, Terumi Mei has been disguising herself. After the two entered the town, Uchiha Yoru was shopping for travel necessities like an ordinary person.

Changes of clothes, dry food, and some daily necessities. Seeing all this, although Terumi Mei felt somewhat complicated, her ninja instincts still made her calm down and not waver.

All of this is because the other party doesn't know her identity. If they knew, she'd probably get another cut.

By sunset, the town had already become lively. Everywhere were playful children following their parents. Although the city is chaotic, it also has local residents.

"Ming, I'll take you to play with something fun."

Uchiha Yoru looked up at the sky and couldn't help but smile. Turning his head, he even casually grabbed the other person's hand.

The moment their palms touched, he pretended to avoid looking at her. When no refusal came, a smile appeared on his face.

And Terumi Mei, following behind, took a deep breath. Steady! Steady! I'm still injured, wait until I recover, find an opportunity, and then take revenge.

"Boss, two horses."

"Sorry, we only have one horse left this round. Why don't you two young people sit together."

In front of the brilliantly lit carousel, Terumi Mei was stunned. She hadn't expected him to bring her here; it was indeed a bit unexpected.

"When I was a kid, I always wanted to play, but unfortunately, my family! My family was quite strict."

Almost letting the cat out of the bag, Uchiha Yoru quickly corrected himself with a smile. Terumi Mei, hearing this, also smiled. The other party's words probably mean that the family clan is strict. Considering the Uchiha clan's proud character, it's indeed possible.


Uchiha Yoru seemed afraid of rejection, jokingly speaking. Terumi Mei listened and gently smiled, nodding her head lightly. At this moment, her heart felt somewhat complicated.

Hatred nearly turned fatal by two slashes, and the other party was also a Leaf Ninja. Her own situation was not good either, clearly becoming a rogue Mist Ninja.

No, this person might be the breakthrough point. She had to find evidence to prove her innocence.

Upon a white horse, after Terumi Mei got on, a strange aura emanated from behind her. It was obvious that both were somewhat tense in their movements.

As the music started, the dazzling lights flickered in their line of sight, but neither of them was focused on it at that moment.

Amid the joyful music, it took less than five minutes for the merry-go-round to stop. Uchiha Yoru softly said, "Wait for me here. I'll go buy something and be right back."

Amidst the cheerful laughter of children, the merry-go-round began to sway again slowly. She saw him hand a banknote to the vendor, then he smiled, waved at her, and ran off towards another street.

"What kind of person are you, really?"

Holding the metallic handrail of the merry-go-round, with childish music and surrounding laughter, Terumi Mei saw many smiling faces, innocent smiles filling the faces of naive children.

These smiles made her somewhat entranced. The Mist Village system was full of repression. In the village, she hardly ever saw smiling faces, even five- or six-year-olds would go out with cautious, subdued expressions.

Under its teachings, Mist Village was a village completely suppressed by killing.

"Maybe both of us are involuntary."

Thinking of her own childhood and what Uchiha Yoru had just said, Terumi Mei couldn't help but sigh. There was no childhood to speak of in Mist Village. As a prodigy, she had joined the Anbu at an early age, often walking in the dark and mostly carrying out assassination missions.

Amidst joyful laughter and innocent smiles, the heavy pressure that had been weighing on Terumi Mei's heart began to ease, and her emerald eyes gradually became hazy.

A rogue ninja, her current situation—she seemed to relax at this moment, immersed in the most childlike laughter.

On the other side, when Uchiha Yoru entered a store as a cover, his figure immediately disappeared, reappearing in a dark corner.

Two figures met, one disguised as Sesshomaru, and the other was his Kobe Yoru.

When the two people exchanged glances, they cautiously looked around and made hand seals. Sesshomaru gradually began to turn into wood.

Wood Release: Wood Clone Jutsu

Wood Clone is similar to Shadow Clone in abilities, but the Wood Clone is extremely realistic, and most people can't see through it. It is mainly used for reconnaissance.

After making contact with this clone technique, like the Shadow Clone, the original body can gain all the memories and insights during that time.

Having been in control for such a long time, and having recruited many talented or mission-critical ninja from Konoha, his "Luck Coins" finally broke through to six.

Moreover, after Tsunade drugged him a while ago, he gritted his teeth and decided to redeem this forbidden technique that was in the plans early.

[Forbidden Jutsu: Modified Chimera Technique, redeem five Luck Coins]

Assisting Orochimaru's research lab, he had secretly obtained the Wood Release cells of the First Hokage long ago.

Recently, he awakened the Wood Release bloodline through absorbing Wood Release cells using a forbidden technique. However, his current Wood Release bloodline could probably only be compared to Yamato who focuses on afforestation.

The Chimera Technique, a forbidden jutsu, allows the ninja or summoning beast to merge with their own body, inheriting their abilities, and even merging bloodline limits.

Originating from the movie 'Naruto Shippūden the Movie: The Will of Fire', he has even captured four bloodlines using this forbidden technique, lacking just one more for perfection.

........
Entry 1:
First-principles (PBE with a Hubbard U) data for Co4Mo4O19 after structural relaxation, as listed in the Materials Project database.

```
Co4Mo4O19
1.0
6.8722 0.0000 0.0000
1.8012 6.7066 0.0000
1.4230 1.8179 9.1407
Co Mo O
4 4 19
direct
0.0000 0.0000 0.0000
0.0290 0.1826 0.2752
0.3617 0.4804 0.6612
0.3959 0.6607 0.9352
0.1851 0.6381 0.2883
0.2074 0.0261 0.6470
0.4388 0.1297 0.0226
0.9538 0.5341 0.9138
0.0329 0.4612 0.2962
0.0509 0.9093 0.2209
0.0694 0.6978 0.9829
0.0707 0.5150 0.7324
0.1175 0.0558 0.4757
0.2728 0.6089 0.4604
0.3211 0.1486 0.2038
0.3244 0.9648 0.9535
0.3420 0.7556 0.7150
0.3593 0.2031 0.6402
0.3999 0.3777 0.8989
0.4008 0.5818 0.1608
0.6018 0.4474 0.6152
0.6508 0.8527 0.4286
0.6936 0.6431 0.9057
0.6996 0.0242 0.0304
0.7887 0.2156 0.3210
0.9911 0.2861 0.0375
0.9919 0.0822 0.7748
```

Properties
For the formation energy, the calculation gives -1.2849 eV per atom. The calculation puts the size of the total moment at 2.20 Bohr magnetons per cell. Its density is 3.640 g/cm3.


Entry 2:
First-principles (PBE with a Hubbard U) data for Ca5Si6W5O17 after structural relaxation, as listed in the Materials Project database.

```
Ca5Si6W5O17
1.0
5.8015 -3.7413 0.0000
5.8015 3.7413 0.0000
-2.6134 0.0000 23.5250
Ca Si W O
10 12 10 34
direct
0.0325 0.2916 0.1470
0.0478 0.8003 0.2261
0.0626 0.9374 0.5000
0.2885 0.5411 0.7436
0.2916 0.0325 0.6470
0.5271 0.7773 0.1599
0.5411 0.2885 0.2436
0.7773 0.5271 0.6599
0.8003 0.0478 0.7261
0.9374 0.0626 0.0000
0.0176 0.3428 0.2823
0.1416 0.3986 0.8727
0.1634 0.4242 0.0155
0.2427 0.5514 0.6046
0.3428 0.0176 0.7823
0.3986 0.1416 0.3727
0.4242 0.1634 0.5155
0.5514 0.2427 0.1046
0.5932 0.7626 0.2864
0.7626 0.5932 0.7864
0.8095 0.9691 0.6007
0.9691 0.8095 0.1007
0.1241 0.7949 0.3591
0.2278 0.8139 0.8974
0.4101 0.8320 0.0259
0.4740 0.6197 0.4445
0.6068 0.9306 0.9312
0.6197 0.4740 0.9445
0.7949 0.1241 0.8591
0.8139 0.2278 0.3974
0.8320 0.4101 0.5259
0.9306 0.6068 0.4312
0.0331 0.7676 0.5797
0.0449 0.3030 0.0444
0.0511 0.6847 0.0374
0.1451 0.8853 0.1349
0.1492 0.4204 0.2424
0.1531 0.2539 0.3443
0.1525 0.4053 0.9439
0.1616 0.4252 0.6453
0.1738 0.9401 0.7457
0.2490 0.5363 0.8458
0.2539 0.1531 0.8443
0.3030 0.0449 0.5444
0.3404 0.4105 0.5442
0.4038 0.6419 0.6401
0.4053 0.1525 0.4439
0.4105 0.3404 0.0442
0.4204 0.1492 0.7424
0.4252 0.1616 0.1453
0.4254 0.6861 0.2474
0.4839 0.8898 0.3469
0.5363 0.2490 0.3458
0.5463 0.8008 0.8057
0.6419 0.4038 0.1401
0.6666 0.9020 0.2479
0.6780 0.8983 0.6414
0.6847 0.0511 0.5374
0.6861 0.4254 0.7474
0.7676 0.0331 0.0797
0.8008 0.5463 0.3057
0.8853 0.1451 0.6349
0.8898 0.4839 0.8469
0.8983 0.6780 0.1414
0.9020 0.6666 0.7479
0.9401 0.1738 0.2457
```

Properties
For the formation energy, the calculation gives -1.9784 eV per atom. The calculation puts the size of the total moment at 43.59 Bohr magnetons per cell. Its density is 5.073 g/cm3. The excess energy over the best structure of this formula in the dataset is 0.008 eV per atom.


Entry 3:
........

